Job =
Echo only the lines underneath with the word "O51" in them, please.
Excerpt =
********
DFT (PBE-GGA) results for Na15Ta5Zn7P18O72 after structural relaxation.

Unit cell a=8.894 b=8.919 c=22.271 alpha=89.83 beta=89.95 gamma=60.12
Sites, in units of the cell vectors:
Na1 0.000 0.000 0.000
Na2 0.000 0.372 0.752
Na3 0.019 0.680 0.916
Na4 0.297 0.680 0.413
Na5 0.302 0.019 0.916
Na6 0.333 0.333 0.830
Na7 0.334 0.336 0.325
Na8 0.357 0.013 0.247
Na9 0.373 0.627 0.753
Na10 0.628 0.001 0.753
Na11 0.666 0.677 0.663
Na12 0.674 0.658 0.157
Na13 0.679 0.302 0.916
Na14 0.691 0.347 0.580
Na15 0.997 0.002 0.492
Ta1 0.004 0.996 0.646
Ta2 0.332 0.329 0.480
Ta3 0.333 0.334 0.987
Ta4 0.673 0.663 0.313
Ta5 0.997 0.001 0.147
Zn1 0.000 0.000 0.850
Zn2 0.332 0.341 0.185
Zn3 0.333 0.332 0.681
Zn4 0.667 0.667 0.020
Zn5 0.667 0.667 0.822
Zn6 0.667 0.674 0.518
Zn7 0.993 0.007 0.351
P1 0.001 0.706 0.753
P2 0.002 0.289 0.252
P3 0.037 0.627 0.088
P4 0.039 0.337 0.587
P5 0.289 0.706 0.254
P6 0.293 0.001 0.753
P7 0.334 0.625 0.585
P8 0.336 0.037 0.089
P9 0.373 0.666 0.918
P10 0.376 0.955 0.419
P11 0.624 0.038 0.587
P12 0.627 0.337 0.088
P13 0.665 0.962 0.918
P14 0.672 0.373 0.421
P15 0.706 0.293 0.751
P16 0.708 0.003 0.253
P17 0.956 0.670 0.420
P18 0.961 0.373 0.918
O1 0.028 0.163 0.590
O2 0.031 0.808 0.092
O3 0.032 0.784 0.809
O4 0.033 0.178 0.307
O5 0.118 0.358 0.645
O6 0.125 0.517 0.141
O7 0.143 0.495 0.425
O8 0.150 0.353 0.927
O9 0.157 0.314 0.244
O10 0.158 0.538 0.029
O11 0.161 0.029 0.091
O12 0.163 0.307 0.532
O13 0.163 0.526 0.745
O14 0.163 0.807 0.590
O15 0.185 0.031 0.809
O16 0.187 0.821 0.913
O17 0.190 0.981 0.697
O18 0.192 0.787 0.312
O19 0.195 0.981 0.411
O20 0.198 0.834 0.199
O21 0.304 0.534 0.529
O22 0.305 0.160 0.031
O23 0.312 0.163 0.745
O24 0.320 0.525 0.246
O25 0.354 0.497 0.927
O26 0.355 0.121 0.144
O27 0.361 0.519 0.642
O28 0.365 0.139 0.426
O29 0.458 0.698 0.971
O30 0.458 0.843 0.473
O31 0.469 0.833 0.752
O32 0.474 0.701 0.258
O33 0.481 0.621 0.859
O34 0.489 0.858 0.078
O35 0.492 0.368 0.425
O36 0.492 0.646 0.578
O37 0.494 0.871 0.361
O38 0.496 0.150 0.927
O39 0.519 0.355 0.141
O40 0.523 0.148 0.245
O41 0.525 0.312 0.745
O42 0.526 0.118 0.645
O43 0.530 0.167 0.532
O44 0.538 0.305 0.029
O45 0.619 0.900 0.859
O46 0.635 0.500 0.366
O47 0.652 0.859 0.579
O48 0.655 0.488 0.078
O49 0.688 0.453 0.478
O50 0.696 0.828 0.258
O51 0.698 0.470 0.751
O52 0.698 0.844 0.971
O53 0.786 0.183 0.808
O54 0.790 0.025 0.309
O55 0.806 0.036 0.590
O56 0.809 0.161 0.091
O57 0.821 0.993 0.913
O58 0.822 0.192 0.412
O59 0.827 0.193 0.695
O60 0.828 0.972 0.196
O61 0.829 0.472 0.259
O62 0.832 0.699 0.752
O63 0.843 0.458 0.971
O64 0.852 0.691 0.476
O65 0.856 0.484 0.579
O66 0.857 0.655 0.077
O67 0.867 0.639 0.363
O68 0.899 0.481 0.859
O69 0.969 0.200 0.196
O70 0.980 0.829 0.697
O71 0.992 0.187 0.913
O72 0.996 0.815 0.412

Computed properties:
As for the space group: P1 (1). The value obtained for the formation energy from the elements is -2.66 eV/atom.

=====

# 1
# Ca8V7ZnBiO28

An optimized crystal structure of Ca8V7ZnBiO28 (PBE+U, the Materials Project).

The structure in CIF format:
```
data_Ca8V7ZnBiO28
_cell_length_a 18.933
_cell_length_b 10.960
_cell_length_c 14.174
_cell_angle_alpha 90.00
_cell_angle_beta 116.49
_cell_angle_gamma 90.00
_space_group_name_H-M_alt 'C 1 c 1'
_space_group_IT_number 9
loop_
_space_group_symop_operation_xyz
'x,y,z'
'x,-y,z+1/2'
'x+1/2,y+1/2,z'
'x+1/2,-y+1/2,z+1/2'
loop_
_atom_site_label
_atom_site_fract_x
_atom_site_fract_y
_atom_site_fract_z
_atom_site_occupancy
Ca1 0.000 0.030 0.000 1
Ca2 0.060 0.248 0.401 1
Ca3 0.170 0.236 0.718 1
Ca4 0.266 0.452 0.400 1
Ca5 0.268 0.047 0.400 1
Ca6 0.368 0.456 0.724 1
Ca7 0.379 0.053 0.721 1
Ca8 0.485 0.046 0.500 1
V1 0.064 0.495 0.792 1
V2 0.081 0.023 0.791 1
V3 0.175 0.481 0.604 1
V4 0.194 0.001 0.103 1
V5 0.338 0.267 0.291 1
V6 0.365 0.248 0.902 1
V7 0.425 0.269 0.604 1
Zn1 0.128 0.250 0.196 1
Bi1 0.208 0.267 0.997 1
O1 0.008 0.244 0.079 1
O2 0.010 0.016 0.834 1
O3 0.012 0.468 0.363 1
O4 0.047 0.070 0.664 1
O5 0.105 0.366 0.566 1
O6 0.124 0.123 0.307 1
O7 0.125 0.377 0.307 1
********
Outcome =
O51 0.698 0.470 0.751